**What to do:**
Copy everything underneath verbatim.
**Excerpt:**
+++
Below is a geometry-optimized Cs3CdH5 structure, with properties calculated at the r2SCAN level.

Summary:
M_tot, μB per atom: 0.00

Unit cell a=8.4033 b=8.4033 c=12.6819 alpha=90.00 beta=90.00 gamma=90.00
Closest atoms and distances in Å follow each position.
Space group I4/mcm (No. 140)
One atom of each set of equivalent atoms:
Cs (0.0000, 0.0000, 0.2500) (multiplicity 4)  10 H 3.17-3.51
Cs (0.1806, 0.3194, 0.0000) (multiplicity 8)  8 H 3.08-3.32
Cd (0.0000, 0.5000, 0.2500) (multiplicity 4)  4 H 1.84
H (0.0000, 0.0000, 0.0000) (multiplicity 4)  6 Cs 3.08-3.17
H (0.1236, 0.3764, 0.3371) (multiplicity 16)  1 Cd 1.84



Below is a geometry-optimized CsLaCdTe3 structure, with properties calculated at the r2SCAN level.

Summary:
M_tot, μB per atom: 0.00

Unit cell a=4.7108 b=17.0339 c=12.2846 alpha=90.00 beta=90.00 gamma=90.00
Closest atoms and distances in Å follow each position.
Space group Cmcm (No. 63)
One atom of each set of equivalent atoms:
Cs (0.0000, 0.2493, 0.2500) (multiplicity 4)  8 Te 3.91-4.33, 2 Cd 4.37
La (0.0000, 0.5000, 0.0000) (multiplicity 4)  6 Te 3.25-3.27
Cd (0.0000, 0.0347, 0.7500) (multiplicity 4)  4 Te 2.82-2.92
Te (0.0000, 0.1247, 0.5572) (multiplicity 8)  1 Cd 2.82
Te (0.0000, 0.4337, 0.7500) (multiplicity 4)  2 Cd 2.92



Below is a geometry-optimized Cs5Tl11Cd2 structure, with properties calculated at the r2SCAN level.

Summary:
M_tot, μB per atom: 0.00

Unit cell a=5.6728 b=18.4346 c=13.4851 alpha=90.00 beta=90.00 gamma=90.00
Closest atoms and distances in Å follow each position.
Space group Amm2 (No. 38)
One atom of each set of equivalent atoms:
Cs (0.0000, 0.0000, 0.0000) (multiplicity 2)  6 Tl 3.90-4.00
Cs (0.0000, 0.1908, 0.2155) (multiplicity 4)  8 Tl 3.91-4.17
Cs (0.5000, 0.1914, 0.9280) (multiplicity 4)  8 Tl 3.88-4.17
Tl (0.0000, 0.0000, 0.3522) (multiplicity 2)  2 Cd 3.27, 8 Tl 3.42-3.49
Tl (0.0000, 0.0963, 0.7426) (multiplicity 4)  2 Cd 3.25, 6 Tl 3.34-3.55
Tl (0.0000, 0.1547, 0.5011) (multiplicity 4)  2 Cd 3.32, 6 Tl 3.35-3.49
Tl (0.5000, 0.0000, 0.2041) (multiplicity 2)  4 Tl 3.14-3.47
Tl (0.5000, 0.0000, 0.7910) (multiplicity 2)  2 Cd 3.29, 6 Tl 3.41-3.51
Tl (0.5000, 0.0995, 0.3926) (multiplicity 4)  6 Tl 3.14-3.45, 2 Cd 3.33
Tl (0.5000, 0.1536, 0.6373) (multiplicity 4)  2 Cd 3.29, 6 Tl 3.34-3.51
Cd (0.2505, 0.0000, 0.5704) (multiplicity 4)  2 Cd 2.83-2.84



Number 1: calculated total energy -460.11 eV for the cell shown. Number 2: calculated total energy -638.10 eV for the cell shown. Number 3: calculated total energy -1507.75 eV for the cell shown.
+++
**Here it is:**
Below is a geometry-optimized Cs3CdH5 structure, with properties calculated at the r2SCAN level.

Summary:
M_tot, μB per atom: 0.00

Unit cell a=8.4033 b=8.4033 c=12.6819 alpha=90.00 beta=90.00 gamma=90.00
Closest atoms and distances in Å follow each position.
Space group I4/mcm (No. 140)
One atom of each set of equivalent atoms:
Cs (0.0000, 0.0000, 0.2500) (multiplicity 4)  10 H 3.17-3.51
Cs (0.1806, 0.3194, 0.0000) (multiplicity 8)  8 H 3.08-3.32
Cd (0.0000, 0.5000, 0.2500) (multiplicity 4)  4 H 1.84
H (0.0000, 0.0000, 0.0000) (multiplicity 4)  6 Cs 3.08-3.17
H (0.1236, 0.3764, 0.3371) (multiplicity 16)  1 Cd 1.84



Below is a geometry-optimized CsLaCdTe3 structure, with properties calculated at the r2SCAN level.

Summary:
M_tot, μB per atom: 0.00

Unit cell a=4.7108 b=17.0339 c=12.2846 alpha=90.00 beta=90.00 gamma=90.00
Closest atoms and distances in Å follow each position.
Space group Cmcm (No. 63)
One atom of each set of equivalent atoms:
Cs (0.0000, 0.2493, 0.2500) (multiplicity 4)  8 Te 3.91-4.33, 2 Cd 4.37
La (0.0000, 0.5000, 0.0000) (multiplicity 4)  6 Te 3.25-3.27
Cd (0.0000, 0.0347, 0.7500) (multiplicity 4)  4 Te 2.82-2.92
Te (0.0000, 0.1247, 0.5572) (multiplicity 8)  1 Cd 2.82
Te (0.0000, 0.4337, 0.7500) (multiplicity 4)  2 Cd 2.92



Below is a geometry-optimized Cs5Tl11Cd2 structure, with properties calculated at the r2SCAN level.

Summary:
M_tot, μB per atom: 0.00

Unit cell a=5.6728 b=18.4346 c=13.4851 alpha=90.00 beta=90.00 gamma=90.00
Closest atoms and distances in Å follow each position.
Space group Amm2 (No. 38)
One atom of each set of equivalent atoms:
Cs (0.0000, 0.0000, 0.0000) (multiplicity 2)  6 Tl 3.90-4.00
Cs (0.0000, 0.1908, 0.2155) (multiplicity 4)  8 Tl 3.91-4.17
Cs (0.5000, 0.1914, 0.9280) (multiplicity 4)  8 Tl 3.88-4.17
Tl (0.0000, 0.0000, 0.3522) (multiplicity 2)  2 Cd 3.27, 8 Tl 3.42-3.49
Tl (0.0000, 0.0963, 0.7426) (multiplicity 4)  2 Cd 3.25, 6 Tl 3.34-3.55
Tl (0.0000, 0.1547, 0.5011) (multiplicity 4)  2 Cd 3.32, 6 Tl 3.35-3.49
Tl (0.5000, 0.0000, 0.2041) (multiplicity 2)  4 Tl 3.14-3.47
Tl (0.5000, 0.0000, 0.7910) (multiplicity 2)  2 Cd 3.29, 6 Tl 3.41-3.51
Tl (0.5000, 0.0995, 0.3926) (multiplicity 4)  6 Tl 3.14-3.45, 2 Cd 3.33
Tl (0.5000, 0.1536, 0.6373) (multiplicity 4)  2 Cd 3.29, 6 Tl 3.34-3.51
Cd (0.2505, 0.0000, 0.5704) (multiplicity 4)  2 Cd 2.83-2.84



Number 1: calculated total energy -460.11 eV for the cell shown. Number 2: calculated total energy -638.10 eV for the cell shown. Number 3: calculated total energy -1507.75 eV for the cell shown.